Everything posted by Love my 72 240Z
Stainless Headers for 240Z .. made or available in USA?
SuferD ... thank you for the link. Makes me think that the ZStory stainless header is a steal (price wise)
ISO Total Seal Rings L24
ISO: Total Seal Piston Rings +0.020 Bore: 3.288 Top Ring: 2.0 Middle Ring: 2.0 Bottom/Oil Ring 4.0 Total Seal Set Number is S2875-20 Looking for best price ... looks like retail is all that is coming up. Thanks,
- ISO 240Z or L24 NPR Pistons +0.020 and NPR Rings
- ISO 240Z or L24 NPR Pistons +0.020 and NPR Rings
Next to the entry, the page also holds crystal structures
<<<
(1)
# CdIBr (PBE, optimized geometry)
data_CdIBr
_symmetry_space_group_name_H-M 'P 1'
_symmetry_Int_Tables_number 1
_symmetry_space_group_name_Hall 'P 1'
_cell_length_a 14.370
_cell_length_b 14.370
_cell_length_c 14.370
_cell_angle_alpha 16.89
_cell_angle_beta 16.89
_cell_angle_gamma 16.89
loop_
_atom_site_label
_atom_site_fract_x
_atom_site_fract_y
_atom_site_fract_z
Cd1 0.000 0.000 0.000
Cd2 0.500 0.500 0.500
I1 0.125 0.125 0.125
I2 0.292 0.292 0.292
Br1 0.702 0.702 0.702
Br2 0.869 0.869 0.869
# ρ: 4854 kg/m3
# V: 109 Å³/f.u.
# SG: R3m, No. 160

=====

(2)
# PmNd3 (PBE, optimized geometry)
data_PmNd3
_symmetry_space_group_name_H-M 'P 1'
_symmetry_Int_Tables_number 1
_symmetry_space_group_name_Hall 'P 1'
_cell_length_a 6.396
_cell_length_b 6.396
_cell_length_c 6.396
_cell_angle_alpha 132.09
_cell_angle_beta 132.09
_cell_angle_gamma 70.09
loop_
_atom_site_label
_atom_site_fract_x
_atom_site_fract_y
_atom_site_fract_z
Pm1 0.000 0.000 0.000
Nd1 0.250 0.750 0.500
Nd2 0.500 0.500 0.000
Nd3 0.750 0.250 0.500
# Offset from the most stable computed form: 3 meV/atom
# ρ: 6792 kg/m3
# V: 141 Å³/f.u.
# SG: I4/mmm, No. 139

=====

(3)
# SrInAu (PBE, optimized geometry)
data_SrInAu
_symmetry_space_group_name_H-M 'P 1'
_symmetry_Int_Tables_number 1
_symmetry_space_group_name_Hall 'P 1'
_cell_length_a 7.778
_cell_length_b 4.857
_cell_length_c 8.627
_cell_angle_alpha 90.00
_cell_angle_beta 90.00
_cell_angle_gamma 90.00
loop_
_atom_site_label
_atom_site_fract_x
_atom_site_fract_y
_atom_site_fract_z
Sr1 0.023 0.250 0.185
Sr2 0.477 0.750 0.685
Sr3 0.523 0.250 0.315
Sr4 0.977 0.750 0.815
In1 0.158 0.250 0.568
In2 0.342 0.750 0.068
In3 0.658 0.250 0.932
In4 0.842 0.750 0.432
Au1 0.217 0.750 0.386
Au2 0.283 0.250 0.886
Au3 0.717 0.750 0.114
Au4 0.783 0.250 0.614
# ρ: 8139 kg/m3
# V: 81 Å³/f.u.
# SG: Pnma, No. 62

=====

Number 1: ΔE_f -0.89 eV per atom. Number 2: ΔE_f 0.01 eV per atom. Number 3: ΔE_f -0.65 eV per atom.

=====

No. 1
The following is a GGA+U calculation of an optimized crystal structure of BaLa3TiCr3O12, from the Materials Project.

Summary:
**Offset from the most stable computed form**: 0.020 eV/atom
**Electronic total energy**: -8.158 eV/atom
**Energy relative to the elements**: -311 kJ per mole of atoms

```
data_BaLa3TiCr3O12
_chemical_formula_sum 'Ba2 La6 Ti2 Cr6 O24'
_symmetry_space_group_name_H-M 'P 1'
_symmetry_Int_Tables_number 1
_cell_length_a 5.618
_cell_length_b 7.897
_cell_length_c 11.801
_cell_angle_alpha 70.45
_cell_angle_beta 90.00
_cell_angle_gamma 90.00
loop_
_symmetry_equiv_pos_as_xyz
'x,y,z'
loop_
_atom_site_label
_atom_site_fract_x
_atom_site_fract_y
_atom_site_fract_z
Ba1 0.500 0.250 0.000
Ba2 0.500 0.750 0.000
La1 0.500 0.000 0.500
La2 0.500 0.500 0.500
La3 0.000 0.122 0.256
La4 0.000 0.622 0.256
La5 0.000 0.878 0.744
La6 0.000 0.378 0.744
Ti1 0.000 0.500 0.000
Ti2 0.000 0.000 0.000
Cr1 0.000 0.250 0.500
Cr2 0.500 0.874 0.252
Cr3 0.500 0.626 0.748
Cr4 0.000 0.750 0.500
Cr5 0.500 0.374 0.252
Cr6 0.500 0.126 0.748
>>>
Back to the entry
Stainless Headers for 240Z .. made or available in USA?
7tooZ. Thank you for the offer ... with ZStory being $585.00 for an unused header ... I believe I need to pass .... but thank you for the reply.
Stainless Headers for 240Z .. made or available in USA?
Would like to purchase a stainless steel header for my '72 240Z ... stock engine ... just wanted the longevity of stainless. Unable to find "state side" dealers that sale stainless headers. Anyone have suggestions or contacts? I looked at ZStory (nice product) but by the time I buy it and ship it it's +$700. Someone in the states needs to fill this gap with supplying stainless headers for the s30. Any leads appreciated. Thanks
L24 Engine rebuild parts list
Ok guys .... its been a while and life has gotten in the way .... but here is the list for a L24 "long block" rebuild. Hope it benefits somebody else. Thank y'all for your input and I have collected many of the parts needed to completely redo my engine ... looks like I will begin pulling engine in early October 2017. Thanks again. L24 Engine Rebuild Check List.doc
L24 Engine rebuild parts list
Time to rebuild the engine in my 72 240 Z. Thought someone may know of parts "check list" that has been created (with or w/o Nissan part numbers) for L24 engine rebuild? I am looking to acquire parts, and once all parts have been secured (checked off the list), THEN perform the rebuild. Any help would be appreciated. Thanks
NEED or WTB: 17235-E4101 Fuel/Vapor recovery hose 72 240Z
Carl, Just sent PM. thanks! David Jacks
NEED or WTB: 17235-E4101 Fuel/Vapor recovery hose 72 240Z
Dave, Thank you ... great idea and exactly my back-up plan if I cannot find the OEM part. Also wondered if something off a later Z (280Z) may work if I had to splice it? Any ideas? Thanks again - great idea with the hose and metal tubing.
NEED or WTB: 17235-E4101 Fuel/Vapor recovery hose 72 240Z
Jim D "Zup", Thank you for the lead. The hose you pointed outs is one that I already have and is available through Nissan. It is similar in that it has a "crook" at one end but is shorter in length, does not have a second bend and is smaller in diameter. Thank you for checking this out on my behalf. Have a great day.
NEED or WTB: 17235-E4101 Fuel/Vapor recovery hose 72 240Z
Guys, I am looking to purchase a NEW vapor recovery hose for my 72 240 Z. There are three (3) and I have the other two (2) new in my hand. I am looking for 17235-E4101 (see pic) it has the largest inside and outside diameter of the three hoses. The following suppliers are presently out of stock: Nissan including Courtesy and Chesapeake; Motorsport; Banzai Motorsport and eBay. So now I turn to you the true professional parts finders Any help is appreciated. Thanks, David Jacks Motorsport! Fuel Tank Vent Hose, Vapor Tank to Fuel Tank, Rear, Short, 70-74 240Z-260Z - The Z Store! Nissan-Datsun 240Z-260Z-280Z-280ZX-300ZX(Z31/Z32)-350Z-370Z Parts
72' Z Heater Core?
Alright guys and Carl ... my cell phone just rang (10:45am CT) and the AMC Discount Parts folks CANNOT get the 2" (240Z) heater core and the reproduction facilities will only be making 2 1/2 (260Z & 280Z) from now on. Guys, looks like we are on our own. Thanks for all y'alls help. Have a great day.
72' Z Heater Core?
Carl, Just called, since the box has not been delivered to me. They are working trying to locate a 2" (240Z) instead of the 2 1/2" (280Z) all they had on the shelf was 2 1/2". I want to trust they are doing a good job ... but am growing more skeptical with each passing day I did remind the gentleman on the phone that if he could get more than one -- that you (Carl) would be interested in purchasing TWO (2) from him. maybe that will motivate him knowing a few more sales are waiting for him. BTW, if I have to drive over there in person I can ... it is only 1 hour from my house I will keep you updated - Thanks
72' Z Heater Core?
ZKars and Carl, Just called Graham, Texas and they had Two (2) in-stock @ $109.00 each. I went ahead and bit the bullet and snagged one .. it hurt to buy it for that price knowing (at some point in the recent past) the price was half, but I guess that is the way the ball bounces Thank y'all very much for info and I will put AMC Discount parts in my file. Thanks again.
- 72' Z Heater Core?
- 72' Z Heater Core?
72' Z Heater Core?
Looking to replace the heater core in my 72Z. OEM - not avail, local auto stores selling reproductions - not avail. I did check eBay and the price is double what local stores charge (when in stock). So looking to save some green if possible. Any other ideas on where to acquire a new one? Thanks. David
240Z Seat Belt Hangers?
Dan, thank you - that makes sense - I just haven't been around Z's for so long (over 20 years since my last car and before this "refreshing project" I am now doing) this refreshing project is upping my knowledge base on the 240Z . Thank you. Carl - 4/72 - with not seat belt warning light and yes horizontal defroster lines. I think Dan's info answers my question. Thank you for the input.
240Z Seat Belt Hangers?
Guys, My 72 Z does not have retractable shoulder seat belt straps, but instead has a "J" hook on the interior dog leg panel right below quarter glass. How does the shoulder strap attach to the "J" hook? Should there be an attachment on the shoulder strap that mates with the "J" hook? Or does the strap itself rest in the "J" hook? Thanks, David
Hot Air Hose from exhaust manifold to air filter box 240Z?
Bonzi Lon - great pic ... Thanks. I will seek to do something like that. Gary - thanks for tip - yes I do have Summer/Winter diverter. Great ideas guys - thanks.
weatherstrip kit
About a year ago I bought some after markets - regretted it from day one. Removed them and bit the bullet for OEM Nissan (as Walter stated above) and I have never regretted it since. The doors close easier AND CORRECTLY and the road noise was less - well as least as can be on a 40+ year old thin sheet metal car Jim is right --- Go with OEM on Doors, Windshield and rear hatch - if you have to skimp on the others then you must, but remember OEM works best. Hope this helps.
Hot Air Hose from exhaust manifold to air filter box 240Z?
Walter, Thank you for info. I too had your thought about clamping tubing around one of the header pipes Thought that maybe, by a long shot, there might be a "kit" (as you suggested) - I too could not find anything on a web search. I do not drive in the winter or rain or bad weather only a Sunshine driver and weekend "car shows". The only reason I am putting it back on is the 72 air box has the connector for the piping and did not want it left "open". Just trying to keep the external "stock stuff" in place - well that sounds contradictory since I have headers huh! BTW, if that is a pic of your car in your profile - that looks sweet! love the "spook" (front air dam) on front. I have the same car and color (112 - right?). I am within one month of finishing with the 3 year "refreshing" of my 240 - here are a few pics before I get the nice ones with everything cleaned. http://www.facebook.com/media/set/?set=a.10150997206451280.477461.501876279&type=1 Thanks for sharing your ideas. Sincerely, David Jacks
Between two parts of the piece: materials data =
/*
Here is an optimized crystal structure of RbAlMo2O8 from the Materials Project. Energies are from GGA+U.

Structure (POSCAR):
```
RbAlMo2O8
1.0
5.654 0.000 0.000
-2.827 4.896 0.000
0.000 0.000 7.476
Rb Al Mo O
1 1 2 8
Cartesian
0.000 0.000 0.000
0.000 0.000 3.738
0.000 3.264 2.056
2.827 1.632 5.420
0.000 1.544 2.613
-1.490 4.124 2.613
1.337 0.772 4.863
0.000 3.264 0.306
2.827 1.632 7.170
1.490 4.124 2.613
4.316 0.772 4.863
2.827 3.352 4.863
```

Magnetic moment (μB per formula unit): 0.0
Crystal system: trigonal
ΔE_f (eV/f.u.): -28.48

***

Here is an optimized crystal structure of Li3Co2Si2O8 from the Materials Project. Energies are from GGA+U.

Structure (POSCAR):
```
Li3Co2Si2O8
1.0
3.779 -3.596 0.000
3.779 3.596 0.000
-0.385 0.000 6.731
Li Co Si O
3 2 2 8
Cartesian
0.000 0.000 0.000
2.562 0.718 0.334
4.611 0.718 6.397
3.586 1.209 3.366
3.586 -3.150 3.366
2.169 -0.947 5.050
5.004 -0.947 1.682
1.148 -0.905 3.724
1.285 -0.950 6.403
3.198 0.326 5.060
3.975 0.326 1.671
2.989 -2.399 4.933
4.184 -2.399 1.798
5.888 -0.950 0.328
6.025 -0.905 3.007
```

Magnetic moment (μB per formula unit): 7.0
Crystal system: monoclinic
ΔE_f (eV/f.u.): -35.47
Distance to the lowest polymorph of the same formula (eV/atom): 0.045

***

Here is an optimized crystal structure of LiFeOF2 from the Materials Project. Energies are from GGA+U.

Structure (POSCAR):
```
LiFeOF2
1.0
8.814 0.000 0.000
0.000 5.293 0.000
-8.268 0.000 9.522
Li Fe O F
8 8 8 16
Cartesian
0.000 0.369 0.000
-4.134 4.924 4.761
-2.471 2.247 4.789
1.663 3.045 0.028
0.228 2.177 6.592
4.362 3.116 1.831
5.955 0.513 2.001
1.820 4.779 6.762
-5.375 2.071 6.624
-1.241 3.221 1.863
-0.053 0.229 3.963
-4.187 5.064 8.724
2.879 0.386 1.786
-1.255 4.906 6.548
-2.453 2.033 8.854
1.681 3.260 4.093
-5.488 0.475 7.529
-1.354 4.818 2.767
-1.023 1.102 5.357
3.111 4.191 0.596
-2.511 0.411 7.853
1.623 4.882 3.092
4.488 1.240 0.556
0.354 4.053 5.318
-4.115 1.461 5.288
0.019 3.831 0.527
1.504 1.279 0.696
-2.630 4.013 5.457
0.158 2.224 3.045
-3.976 3.069 7.806
2.949 2.209 2.881
-1.185 3.084 7.642
1.825 1.599 5.350
5.960 3.694 0.589
0.311 0.361 7.637
4.445 4.931 2.876
7.354 1.515 0.596
3.220 3.778 5.357
6.129 2.270 2.852
1.994 3.022 7.613
```

Magnetic moment (μB per formula unit): 5.0
Crystal system: monoclinic
ΔE_f (eV/f.u.): -12.26
Distance to the lowest polymorph of the same formula (eV/atom): 0.066

***

Here is an optimized crystal structure of Eu2MgFe2O5 from the Materials Project. Energies are from GGA+U.

Structure (POSCAR):
```
Eu2MgFe2O5
1.0
3.746 0.000 0.000
0.004 5.865 0.000
0.006 0.009 7.033
Eu Mg Fe O
2 1 2 5
Cartesian
0.000 0.000 0.000
0.014 5.867 3.518
0.009 2.932 0.007
1.882 2.944 2.132
1.887 2.929 4.912
0.009 2.933 2.025
0.014 2.940 5.021
1.885 0.010 5.255
1.882 2.928 0.006
1.886 5.860 1.789
```

Magnetic moment (μB per formula unit): 21.2
Crystal system: triclinic
ΔE_f (eV/f.u.): -19.46
Distance to the lowest polymorph of the same formula (eV/atom): 0.310

***
*/
So much for the materials data =
Hot Air Hose from exhaust manifold to air filter box 240Z?
Wanted to hook up the Hot air hose from exhaust manifold to air filter box on my 240Z. I now have headers and would still like to use this hose if possible ... any ideas? Thanks, David
Hard to find S30 parts
Left hand is available through Nissan LH 80841-E4101 ($16.00 - $21.00) depending on dealer. RH 80840-E4101 is NLA